### Request
It remains to transcribe every line further below that contains the word "formula".

### Input
********
# ScCrInCl6
Theoretical powder diffractogram, a wavelength of 1.5418 Å. Input: a PBE-relaxed structure.
Lines closer than 0.1° are merged.

Top 6 peaks for 2θ = 5–70°, most intense first:
(0 1 -1), d 4.574, 19.4°, I = 100; (-1 2 2), d 2.354, 38.2°, I = 96; (-1 1 1), d 4.343, 20.4°, I = 91; (0 1 1), d 4.376, 20.3°, I = 90; (-2 1 1), d 2.964, 30.2°, I = 54; (3 0 0), d 1.925, 47.2°, I = 51

abc: 6.468 6.470 7.077
angles: 91.55 91.64 116.66
Space group P1 (No. 1)
Inequivalent atoms, fractional coordinates:
Sc: 0.000 0.000 0.000 (multiplicity 1)
Cr: 0.661 0.340 0.000 (multiplicity 1)
In: 0.325 0.675 0.500 (multiplicity 1)
Cl: 0.306 0.031 0.225 (multiplicity 1)
Cl: 0.324 0.305 0.819 (multiplicity 1)
Cl: 0.696 0.676 0.181 (multiplicity 1)
Cl: 0.698 0.058 0.797 (multiplicity 1)
Cl: 0.943 0.302 0.203 (multiplicity 1)
Cl: 0.968 0.694 0.774 (multiplicity 1)

----------

(1)
This entry pairs a crystal structure of Ti6FePb with its calculated X-ray diffraction stick pattern. Radiation: CuKα. Structure: a structure optimized by DFT (GGA-PBE).
Lines closer than 0.1° are merged.

Main lines, by intensity (2θ = 10–90°):
two_theta	d_spacing	Rel. int.	hkl
42.1	2.148	100	1 2 2
33.9	2.647	89	2 1 1
40.6	2.223	78	2 2 0
30.4	2.942	75	0 1 2
20.0	4.445	75	1 1 0
18.1	4.907	34	1 0 1
51.5	1.774	23	3 1 2
60.3	1.535	21	2 2 3

Cell lengths 8.8905, 8.8905, 6.3683 Å; angles 90.00, 90.00, 120.00 degrees
Space group R-3m (No. 166, hexagonal axes)
Unique sites:
Ti 0.0504 0.5252 0.2988 (multiplicity 18)
Fe 0.0000 0.0000 0.5000 (multiplicity 3)
Pb 0.0000 0.0000 0.0000 (multiplicity 3)

(2)
This entry pairs a crystal structure of YIn2Si with its calculated X-ray diffraction stick pattern. Radiation: CuKα. Structure: a structure optimized by DFT (GGA-PBE).
Lines closer than 0.1° are merged.

Main lines, by intensity (2θ = 10–90°):
two_theta	d_spacing	Rel. int.	hkl
31.7	2.823	100	1 1 0
31.4	2.849	45	1 0 1
38.3	2.348	32	0 1 2
38.8	2.324	30	1 1 -2
42.8	2.112	20	2 0 -1
30.9	2.894	18	0 0 2
58.8	1.570	18	2 1 1
45.2	2.008	17	0 2 0

Cell lengths 4.225, 4.016, 6.160 Å; angles 90.00, 110.04, 90.00 degrees
Space group Pm (No. 6)
Unique sites:
Y 0.000 0.000 0.000 (multiplicity 1)
In 0.310 0.500 0.617 (multiplicity 1)
In 0.721 0.000 0.440 (multiplicity 1)
Si 0.543 0.500 0.088 (multiplicity 1)

(3)
This entry pairs a crystal structure of Na3UF8 with its calculated X-ray diffraction stick pattern. Radiation: CuKα. Structure: a structure optimized by DFT (GGA-PBE).
Lines closer than 0.1° are merged.

Main lines, by intensity (2θ = 10–90°):
two_theta	d_spacing	Rel. int.	hkl
18.0	4.916	100	1 0 1
28.1	3.172	69	1 1 2
46.8	1.943	55	2 2 0
16.2	5.485	33	0 0 2
44.4	2.040	28	2 1 3
37.5	2.400	26	2 1 1
22.9	3.889	26	1 1 0
29.3	3.045	25	1 0 3

Cell lengths 5.500, 5.500, 10.970 Å; angles 90.00, 90.00, 90.00 degrees
Space group I4/mmm (No. 139)
Unique sites:
Na 0.000 0.000 0.000 (multiplicity 2)
Na 0.000 0.500 0.250 (multiplicity 4)
U 0.000 0.000 0.500 (multiplicity 2)
F 0.232 0.232 0.384 (multiplicity 16)

Which formula does entry 3 have? Na3UF8

What did the third record say?
This entry pairs a crystal structure of Na3UF8 with its calculated X-ray diffraction stick pattern. Radiation: CuKα. Structure: a structure optimized by DFT (GGA-PBE).
Lines closer than 0.1° are merged.

Main lines, by intensity (2θ = 10–90°):
two_theta	d_spacing	Rel. int.	hkl
18.0	4.916	100	1 0 1
28.1	3.172	69	1 1 2
46.8	1.943	55	2 2 0
16.2	5.485	33	0 0 2
44.4	2.040	28	2 1 3
37.5	2.400	26	2 1 1
22.9	3.889	26	1 1 0
29.3	3.045	25	1 0 3

Cell lengths 5.500, 5.500, 10.970 Å; angles 90.00, 90.00, 90.00 degrees
Space group I4/mmm (No. 139)
Unique sites:
Na 0.000 0.000 0.000 (multiplicity 2)
Na 0.000 0.500 0.250 (multiplicity 4)
U 0.000 0.000 0.500 (multiplicity 2)
F 0.232 0.232 0.384 (multiplicity 16)

----------

Theoretical powder XRD pattern of PuInNi10 for λ = 1.5418 Å (Cu Kα), from the GGA-PBE geometry in Alexandria.

Largest 6 diffraction maxima, in order of rising 2θ, 10° ≤ 2θ ≤ 90°:
2θ (°)	I_rel
31.0	88
37.3	33
43.5	35
********

### Outcome
Which formula does entry 3 have? Na3UF8